Density functional theory data (PBE) for a geometry-optimized ZrCuF6 structure.

Geometry as CIF:
```
data_ZrCuF6
_cell_length_a 5.7559
_cell_length_b 5.7559
_cell_length_c 5.7559
_cell_angle_alpha 60.00
_cell_angle_beta 60.00
_cell_angle_gamma 60.00
_space_group_name_H-M_alt 'P 1'
_space_group_IT_number 1
loop_
_space_group_symop_operation_xyz
'x,y,z'
loop_
_atom_site_label
_atom_site_fract_x
_atom_site_fract_y
_atom_site_fract_z
F1 0.2502 0.2502 0.7498
F2 0.7498 0.2502 0.7498
F3 0.7498 0.2502 0.2502
F4 0.2502 0.7498 0.7498
F5 0.7498 0.7498 0.2502
F6 0.2502 0.7498 0.2502
Cu1 0.5000 0.5000 0.5000
Zr1 0.0000 0.0000 0.0000
```

Computed properties:
- energy of formation from the pure elements (meV/atom) = -3168


No. 1
## SiC (PBE-GGA)

Data for a relaxed SiC crystal.

a = 27.8355 Å, b = 27.8355 Å, c = 27.8355 Å
α = 6.38°, β = 6.38°, γ = 6.38°
Sites, in units of the cell vectors:
Si: 0.6061 0.6061 0.6061
Si: 0.3030 0.3030 0.3030
Si: 0.5455 0.5455 0.5455
Si: 0.1819 0.1819 0.1819
Si: 0.8182 0.8182 0.8182
Si: 0.1212 0.1212 0.1212
Si: 0.9091 0.9091 0.9091
Si: 0.0000 0.0000 0.0000
Si: 0.7273 0.7273 0.7273
Si: 0.3637 0.3637 0.3637
Si: 0.4243 0.4243 0.4243
C: 0.7954 0.7954 0.7954
C: 0.4015 0.4015 0.4015
C: 0.0985 0.0985 0.0985
C: 0.9772 0.9772 0.9772
C: 0.5833 0.5833 0.5833
C: 0.7045 0.7045 0.7045
C: 0.5227 0.5227 0.5227
C: 0.2803 0.2803 0.2803
C: 0.3409 0.3409 0.3409
C: 0.1591 0.1591 0.1591
C: 0.8863 0.8863 0.8863

Values from the calculation:
crystal system: trigonal
energy above the lowest structure with this stoichiometry: 0.032 eV per atom

---

No. 2
## HfSn (PBE-GGA)

Data for a relaxed HfSn crystal.

a = 5.6680 Å, b = 5.6680 Å, c = 5.6680 Å
α = 90.00°, β = 90.00°, γ = 90.00°
Sites, in units of the cell vectors:
Sn: 0.8436 0.8436 0.8436
Sn: 0.3436 0.6564 0.1564
Sn: 0.1564 0.3436 0.6564
Sn: 0.6564 0.1564 0.3436
Hf: 0.6429 0.3571 0.8571
Hf: 0.8571 0.6429 0.3571
Hf: 0.1429 0.1429 0.1429
Hf: 0.3571 0.8571 0.6429

Values from the calculation:
crystal system: cubic

---

For reference, E_form by record: -172.0, -272.3 meV/atom.
For reference, uncorrected energy by record: -7.50, -7.26 eV/atom.


Entry 1:
Fe2OF3 PBE+U relaxed; crystal system = triclinic; energy of formation = -2.262 eV/atom
1.0
4.752 0.000 0.000
0.012 5.663 0.000
0.056 2.449 13.439
Fe O F
10 5 15
direct
0.000 0.000 0.000
0.004 0.194 0.396
0.012 0.391 0.796
0.038 0.589 0.207
0.478 0.288 0.608
0.497 0.890 0.798
0.506 0.693 0.395
0.521 0.102 0.186
0.557 0.481 0.988
0.972 0.793 0.582
0.218 0.491 0.349
0.296 0.190 0.748
0.697 0.189 0.047
0.710 0.586 0.852
0.792 0.895 0.445
0.196 0.123 0.531
0.201 0.918 0.139
0.202 0.340 0.930
0.207 0.701 0.734
0.298 0.002 0.334
0.309 0.435 0.121
0.314 0.816 0.934
0.323 0.629 0.537
0.693 0.757 0.259
0.695 0.954 0.664
0.713 0.384 0.463
0.802 0.081 0.852
0.804 0.672 0.061
0.809 0.263 0.264
0.819 0.455 0.660

---

Entry 2:
Fe2OF3 PBE+U relaxed; crystal system = orthorhombic; energy of formation = -2.280 eV/atom
1.0
15.425 0.000 0.000
0.000 3.503 3.397
0.000 -3.503 3.397
Fe O F
10 5 15
direct
0.000 0.000 0.000
0.100 0.469 0.469
0.200 0.939 0.939
0.300 0.470 0.470
0.400 0.990 0.990
0.500 0.445 0.445
0.600 0.990 0.990
0.700 0.470 0.470
0.800 0.939 0.939
0.900 0.469 0.469
0.000 0.301 0.301
0.200 0.638 0.638
0.397 0.292 0.292
0.603 0.292 0.292
0.800 0.638 0.638
0.000 0.679 0.679
0.100 0.174 0.765
0.100 0.765 0.174
0.199 0.260 0.260
0.300 0.171 0.762
0.300 0.762 0.171
0.401 0.672 0.672
0.500 0.183 0.771
0.500 0.771 0.183
0.599 0.672 0.672
0.700 0.171 0.762
0.700 0.762 0.171
0.801 0.260 0.260
0.900 0.174 0.765
0.900 0.765 0.174

---

Entry 3:
Fe4O7F PBE+U relaxed; crystal system = orthorhombic; energy of formation = -1.459 eV/atom
1.0
6.032 0.000 0.000
0.000 6.416 0.000
0.000 0.000 6.617
Fe O F
8 14 2
direct
0.007 0.250 0.242
0.250 0.250 0.744
0.250 0.750 0.232
0.493 0.250 0.242
0.507 0.750 0.758
0.750 0.250 0.768
0.750 0.750 0.256
0.993 0.750 0.758
0.003 0.056 0.747
0.003 0.444 0.747
0.250 0.250 0.046
0.250 0.250 0.437
0.250 0.750 0.933

Please search the data earlier on for the word "Values" and print each line that has it.

Values from the calculation:
Values from the calculation: